Students’ voices matter: teachers would benefit from anonymous feedback

Nicolas Gandolfo

Administrators should implement a feedback system that would allow students to share anonymous comments about their teachers.

By William Hallward-Driemeier

**Unrelated to this text: calculated crystals**
-- begin --
Material: CaAcGa2
Method: DFT, GGA-PBE
State: relaxed

For the energy, the calculation gives -39.06 eV/cell.

It has space group R-3m (No. 166, hexagonal axes), with a = 3.9448 Å, b = 3.9448 Å, c = 27.5430 Å, α = 90.00°, β = 90.00° and γ = 120.00°. Symmetry generates all atoms from Ca at (0.0000, 0.0000, 0.0000), Ac at (0.0000, 0.0000, 0.5000) and Ga at (0.0000, 0.0000, 0.2537).

=====

Material: Sm3TmGa4
Method: DFT, GGA-PBE
State: relaxed

The calculation puts the distance to the lowest polymorph of the same formula at 129 meV/atom.

It has space group Immm (No. 71), with a = 3.6960 Å, b = 6.7585 Å, c = 16.7884 Å, α = 90.00°, β = 90.00° and γ = 90.00°. Symmetry generates all atoms from Sm at (0.0000, 0.0000, 0.0000), Sm at (0.0000, 0.5000, 0.2024), Tm at (0.0000, 0.0000, 0.5000) and Ga at (0.0000, 0.3059, 0.3722).

=====

Material: Th2SbH2
Method: DFT, GGA-PBE
State: relaxed

For the energy, the calculation gives -113.47 eV/cell.

It has space group C2/c (No. 15), with a = 6.5479 Å, b = 10.5034 Å, c = 6.5259 Å, α = 90.00°, β = 119.11° and γ = 90.00°. Symmetry generates all atoms from Th at (0.0000, 0.0798, 0.2500), Th at (0.0000, 0.3096, 0.7500), Sb at (0.0000, 0.3824, 0.2500) and H at (0.1107, 0.1170, 0.9668).

=====

Material: Pr2P3Rh6
Method: DFT, GGA-PBE
State: relaxed

For the energy, the calculation gives -79.39 eV/cell.

It has space group P-62m (No. 189), with a = 7.1811 Å, b = 7.1811 Å, c = 4.2093 Å, α = 90.00°, β = 90.00° and γ = 120.00°. Symmetry generates all atoms from Pr at (0.3333, 0.6667, 0.0000), P at (0.0000, 0.6262, 0.5000), Rh at (0.0000, 0.2894, 0.5000) and Rh at (0.0000, 0.7824, 0.0000).

=====

Material: BaBeN2O
Method: DFT, GGA-PBE
State: relaxed

For the formation energy without anion corrections, the calculation gives 0.022 eV per atom.

It has space group P4/mmm (No. 123), with a = 3.6922 Å, b = 3.6922 Å, c = 4.6636 Å, α = 90.00°, β = 90.00° and γ = 90.00°. Symmetry generates all atoms from Ba at (0.0000, 0.0000, 0.0000), Be at (0.5000, 0.5000, 0.5000), N at (0.0000, 0.5000, 0.5000) and O at (0.5000, 0.5000, 0.0000).

=====

Material: YHfPd2
Method: DFT, GGA-PBE
State: relaxed

The calculation puts the distance to the lowest polymorph of the same formula at 51 meV/atom.

It has space group P4/mmm (No. 123), with a = 4.8175 Å, b = 4.8175 Å, c = 3.4340 Å, α = 90.00°, β = 90.00° and γ = 90.00°. Symmetry generates all atoms from Y at (0.0000, 0.0000, 0.0000), Hf at (0.5000, 0.5000, 0.0000) and Pd at (0.0000, 0.5000, 0.5000).

=====

DFT (PBE) results for a geometry-optimized BaSrNd2Sb2O structure.

Properties
For the total energy, the calculation gives -5.2897 eV/atom. Its calculated density is 5.96 g/cm3. Its space-group type is I4mm, No. 107.

Cell lengths 9.8221, 9.8221, 9.8221 Å; angles 151.49, 151.49, 40.76 degrees
Last column: nearest neighbours and their distance in Å.
Atoms (fractional coordinates):
Ba 0.6817 0.6817 0.0000  5 Sb 3.48-3.57, 1 O 3.64
Nd 0.9998 0.4998 0.5000  2 O 2.44
-- stop --

“Why do teachers even bother me with this?” I ask myself. “It’s not like they’re actually going to change their ways.”

I can’t get this thought out of my head whenever I see an email in my MCPS inbox with the subject line “FEEDBACK REQUEST.” This message signals that a teacher has sent my peers and me a survey on Google Forms so we can provide comments on their methods of instruction. While these requests signify the educators’ desire for improvement, it can be intimidating to reveal complaints since students often need to put their names on the forms. 

When students actually feel comfortable sharing their concerns, their feedback can help improve the quality of teaching in school. Whitman should implement a centralized feedback system that would allow students to share anonymous comments about all of their teachers with administrators.

Since it is currently up to each educator to decide whether they will ask for feedback, not all students feel that teachers take their ideas into account.

“I think that the biggest issue with the current system is that only some teachers do it,” junior Micah Janger said. “I think all teachers should have some form of feedback that students can do.”

In an informal Black & White survey of 31 students, more than 80% of respondents said that offering feedback directly to a superior feels like a daunting task. In addition, 61.3% of the students doubted that their teachers took the responses to their feedback forms into account.

Luckily, a centralized feedback system would address students’ lack of faith in the significance of their constructive criticism. By receiving anonymity, students would know that there would be no way for teachers to track who provided which comments. Additionally, implementing oversight from administrators could help students take the feedback forms more seriously because they would know that the staff could step in if a large number of students reported similar concerns.

“A centralized system to give feedback to teachers is very needed,” sophomore Mitra Hu-Henderson said. “I think the school isn’t doing enough to accommodate certain learning styles and the best way for students to succeed. Students need an outlet to explain why a teacher’s teaching style, grading style or test style isn’t helping them learn.”

Many teachers have realized that to maximize their teaching abilities, they need to gain constructive criticism so they can become more effective educators each year.

“As a teacher, you should have a growth mindset,” said social studies teacher Kenneth Heckert. “It’s important that you’re always looking to improve upon what you’ve done to help students be successful in the classroom. Over the years, I have gotten lots of valuable feedback that’s helped me improve as a teacher.”

It’s also important to note that currently, administrators don’t receive any student feedback on teachers unless pupils take the initiative to approach the higher-ups directly. The people in charge of our school have no way of staying up to date with students’ feelings about their instruction, which means that administrators have no way to tell teachers if there is anything they need to act on.

A centralized feedback system would fill this knowledge gap. Administrators could create an anonymous form that they would email to every student. From there, students could fill out the form anonymously. The staff could then convert the data into a Google spreadsheet, sort feedback by a teacher and send the corresponding information to each educator. This Google spreadsheet format would be particularly useful in helping administrators recognize a need for intervention if they receive lots of complaints regarding a particular teacher.

Some might argue that implementing this plan would require a substantial amount of work on the part of teachers and administrators. Whether this is true or not, the initiation of this feedback system would pay off in the long run. The more comprehensive feedback that educators receive, the more likely it is that they’ll use the input to improve their teaching strategies, helping every future student of theirs.

Schools exist so students can become informed. It’s only natural that instructors should, like their pupils, receive education — in the form of constructive feedback — so they can maximize the effectiveness of their teaching. Although we’re lucky to go to a school where some teachers already request feedback, there’s always room for improvement in the system; that idea applies to our educators’ teaching methods, too.